Search the rows underneath for the word "relative" and transcribe each line that has it.

........
No. 1
Na2TmZrO4 | Alexandria via LeMat-Bulk | PBE | optimized geometry; DOS(E_F) = 0.330 states/eV/atom; E_tot = -0.5175 Ry/atom; total magnetic moment = 0.28 μB per cell
1.0
-2.787 -1.371 0.965
2.607 -1.982 4.714
-2.221 5.365 1.206
O Na Tm Zr
4 2 1 1
Direct
0.500 0.757 0.779
0.000 0.747 0.210
0.000 0.253 0.790
0.500 0.243 0.221
0.000 0.500 0.500
0.500 0.000 0.500
0.500 0.500 0.000
0.000 0.000 0.000

***

No. 2
Na3U4O12 | Alexandria via LeMat-Bulk | PBE | optimized geometry; DOS(E_F) = 0.736 states/eV/atom; E_tot = -0.6357 Ry/atom; total magnetic moment = 3.00 μB per cell
1.0
-2.064 0.148 -6.911
-5.517 -2.168 4.111
2.065 6.606 2.035
O Na U
12 3 4
Direct
0.705 0.915 0.210
0.295 0.085 0.790
0.085 0.790 0.295
0.705 0.496 0.790
0.790 0.295 0.085
0.790 0.705 0.496
0.210 0.705 0.915
0.504 0.210 0.295
0.295 0.504 0.210
0.915 0.210 0.705
0.496 0.790 0.705
0.210 0.295 0.504
0.000 0.500 0.500
0.500 0.000 0.500
0.500 0.500 0.000
0.000 0.500 0.000
0.500 0.500 0.500
0.500 0.000 0.000
0.000 0.000 0.500

***

No. 3
Na5UO5 | Alexandria via LeMat-Bulk | PBE | optimized geometry; DOS(E_F) = 0.272 states/eV/atom; E_tot = -0.4413 Ry/atom; total magnetic moment = 1.00 μB per cell
1.0
4.616 0.000 0.000
-2.308 5.227 -1.916
0.000 0.165 6.645
Na O U
5 5 1
Direct
0.319 0.638 0.143
0.299 0.597 0.668
0.681 0.362 0.857
0.701 0.403 0.332
0.000 0.000 0.500
0.149 0.298 0.302
0.863 0.726 0.162
0.500 0.000 0.000
0.137 0.274 0.838
0.851 0.702 0.698
0.000 0.000 0.000

----------

CsSr2TlIr | PBE | optimized geometry

Lattice parameters (Å, degrees): 5.971 5.971 5.478 90.00 90.00 90.00
Atoms (fractional coordinates):
Cs 0.000 0.000 0.000
Sr 0.000 0.500 0.500
Sr 0.500 0.000 0.500
Tl 0.500 0.500 0.000
Ir 0.500 0.500 0.500

Properties
The value obtained for the calculated volume is 195.3 Å³ per cell. For the formation energy, the calculation gives -47 meV per atom. The value obtained for the theoretical density is 5.992 g cm⁻³.

***

CsSr2ZnIr | PBE | optimized geometry

Lattice parameters (Å, degrees): 5.912 5.912 5.229 90.00 90.00 90.00
Atoms (fractional coordinates):
Cs 0.000 0.000 0.000
Sr 0.000 0.500 0.500
Sr 0.500 0.000 0.500
Zn 0.500 0.500 0.000
Ir 0.500 0.500 0.500

Properties
The value obtained for the calculated volume is 182.8 Å³ per cell. For the formation energy, the calculation gives 38 meV per atom. The value obtained for the theoretical density is 5.140 g cm⁻³.

***

CsTa3Ir | PBE | optimized geometry

Lattice parameters (Å, degrees): 5.044 5.044 5.044 90.00 90.00 90.00
Atoms (fractional coordinates):
Cs 0.000 0.000 0.000
Ta 0.000 0.500 0.500
Ta 0.500 0.000 0.500
Ta 0.500 0.500 0.000
Ir 0.500 0.500 0.500

Properties
The value obtained for the calculated volume is 128.3 Å³ per cell. For the energy relative to the lowest polymorph listed for this composition, the calculation gives 0 meV per atom. For the formation energy, the calculation gives 1416 meV per atom. The value obtained for the theoretical density is 11.234 g cm⁻³.

***

CsTa3Ir | PBE | optimized geometry

Lattice parameters (Å, degrees): 4.920 4.920 4.920 90.00 90.00 90.00
Atoms (fractional coordinates):
Cs 0.000 0.000 0.000
Ta 0.000 0.000 0.500
Ta 0.000 0.500 0.000
Ta 0.500 0.000 0.000
Ir 0.500 0.500 0.500

Properties
The value obtained for the calculated volume is 119.1 Å³ per cell. For the energy relative to the lowest polymorph listed for this composition, the calculation gives 2023 meV per atom. For the formation energy, the calculation gives 3439 meV per atom. The value obtained for the theoretical density is 12.103 g cm⁻³.

***

CsTa2Ir | PBE | optimized geometry

Lattice parameters (Å, degrees): 4.777 4.777 4.777 60.00 60.00 60.00
Atoms (fractional coordinates):
Cs 0.000 0.000 0.000
Ta 0.250 0.250 0.250
Ta 0.750 0.750 0.750
Ir 0.500 0.500 0.500

Properties
The value obtained for the calculated volume is 77.1 Å³ per cell. For the formation energy, the calculation gives 1284 meV per atom. The value obtained for the theoretical density is 14.798 g cm⁻³.

***
........

The value obtained for the calculated volume is 128.3 Å³ per cell. For the energy relative to the lowest polymorph listed for this composition, the calculation gives 0 meV per atom. For the formation energy, the calculation gives 1416 meV per atom. The value obtained for the theoretical density is 11.234 g cm⁻³.
The value obtained for the calculated volume is 119.1 Å³ per cell. For the energy relative to the lowest polymorph listed for this composition, the calculation gives 2023 meV per atom. For the formation energy, the calculation gives 3439 meV per atom. The value obtained for the theoretical density is 12.103 g cm⁻³.